Assignment =
Please echo everything further below without altering anything.

Contents =
********
(1)
For HfTe3Se8, a structure optimized by DFT (GGA-PBE) gives the calculated powder diffraction line list in this record (CuKα).

Crystal structure
```
data_HfTe3Se8
_space_group_name_H-M_alt 'P -1'
_space_group_IT_number 2
_cell_length_a 7.230
_cell_length_b 7.876
_cell_length_c 14.438
_cell_angle_alpha 104.71
_cell_angle_beta 99.88
_cell_angle_gamma 95.64
loop_
_space_group_symop_operation_xyz
'x,y,z'
'-x,-y,-z'
loop_
_atom_site_label
_atom_site_fract_x
_atom_site_fract_y
_atom_site_fract_z
_atom_site_occupancy
Hf1 0.097 0.229 0.004 1
Te1 0.002 0.823 0.579 1
Te2 0.084 0.653 0.232 1
Te3 0.493 0.956 0.799 1
Se1 0.143 0.215 0.597 1
Se2 0.168 0.912 0.928 1
Se3 0.214 0.613 0.072 1
Se4 0.240 0.299 0.850 1
Se5 0.240 0.462 0.412 1
Se6 0.319 0.670 0.566 1
Se7 0.333 0.958 0.326 1
Se8 0.372 0.316 0.160 1
```

Principal peaks in the range 10° ≤ 2θ ≤ 80°, in order of falling intensity:
Position (°2θ)  d (Å)  intensity
19.83  4.478  100
12.57  7.043  93
17.55  5.055  89
16.12  5.498  69
28.51  3.131  68
25.81  3.452  68
26.26  3.393  59
40.28  2.239  56
34.21  2.621  55
30.09  2.970  55
20.98  4.234  55
36.14  2.485  54



(2)
For Pr2HoTl2, a structure optimized by DFT (GGA-PBE) gives the calculated powder diffraction line list in this record (CuKα).

Crystal structure
```
data_Pr2HoTl2
_space_group_name_H-M_alt 'C m c 21'
_space_group_IT_number 36
_cell_length_a 5.128
_cell_length_b 17.864
_cell_length_c 6.701
_cell_angle_alpha 90.00
_cell_angle_beta 90.00
_cell_angle_gamma 90.00
loop_
_space_group_symop_operation_xyz
'x,y,z'
'-x,-y,z+1/2'
'-x,y,z'
'x,-y,z+1/2'
'x+1/2,y+1/2,z'
'-x+1/2,-y+1/2,z+1/2'
'-x+1/2,y+1/2,z'
'x+1/2,-y+1/2,z+1/2'
loop_
_atom_site_label
_atom_site_fract_x
_atom_site_fract_y
_atom_site_fract_z
_atom_site_occupancy
Pr1 0.000 0.008 0.000 1
Pr2 0.000 0.201 0.457 1
Ho1 0.000 0.391 0.238 1
Tl1 0.000 0.193 0.965 1
Tl2 0.000 0.409 0.749 1
```

Principal peaks in the range 10° ≤ 2θ ≤ 80°, in order of falling intensity:
Position (°2θ)  d (Å)  intensity
30.49  2.931  100
32.31  2.771  74
35.00  2.564  37
33.43  2.681  30
40.53  2.226  21
64.01  1.454  21
49.18  1.853  19
54.60  1.681  18
59.99  1.542  15
35.37  2.538  14
51.14  1.786  12
61.08  1.517  12



(3)
For KHf2Bi2O7, a structure optimized by DFT (GGA-PBE) gives the calculated powder diffraction line list in this record (CuKα).

Crystal structure
```
data_KHf2Bi2O7
_space_group_name_H-M_alt 'I m m 2'
_space_group_IT_number 44
_cell_length_a 3.531
_cell_length_b 19.376
_cell_length_c 6.015
_cell_angle_alpha 90.00
_cell_angle_beta 90.00
_cell_angle_gamma 90.00
loop_
_space_group_symop_operation_xyz
'x,y,z'
'-x,-y,z'
'-x,y,z'
'x,-y,z'
'x+1/2,y+1/2,z+1/2'
'-x+1/2,-y+1/2,z+1/2'
'-x+1/2,y+1/2,z+1/2'
'x+1/2,-y+1/2,z+1/2'
loop_
_atom_site_label
_atom_site_fract_x
_atom_site_fract_y
_atom_site_fract_z
_atom_site_occupancy
K1 0.000 0.000 0.000 1
Hf1 0.000 0.400 0.037 1
Bi1 0.000 0.304 0.581 1
O1 0.000 0.120 0.683 1
O2 0.000 0.286 0.936 1
O3 0.000 0.411 0.711 1
O4 0.000 0.500 0.116 1
```

Principal peaks in the range 10° ≤ 2θ ≤ 80°, in order of falling intensity:
Position (°2θ)  d (Å)  intensity
27.38  3.258  100
30.78  2.905  53
29.70  3.008  42
28.81  3.098  37
25.64  3.474  35
41.86  2.158  24
59.56  1.552  24
51.80  1.765  22
47.99  1.896  20
40.73  2.216  19
39.64  2.274  19
51.30  1.781  17



(4)
For La4Au2I5, a structure optimized by DFT (GGA-PBE) gives the calculated powder diffraction line list in this record (CuKα).

Crystal structure
```
data_La4Au2I5
_space_group_name_H-M_alt 'C 1 2/m 1'
_space_group_IT_number 12
_cell_length_a 25.569
_cell_length_b 4.159
_cell_length_c 8.947
_cell_angle_alpha 90.00
_cell_angle_beta 90.86
_cell_angle_gamma 90.00
loop_
_space_group_symop_operation_xyz
'x,y,z'
'-x,-y,-z'
'-x,y,-z'
'x,-y,z'
'x+1/2,y+1/2,z'
'-x+1/2,-y+1/2,-z'
'-x+1/2,y+1/2,-z'
'x+1/2,-y+1/2,z'
loop_
_atom_site_label
_atom_site_fract_x
_atom_site_fract_y
_atom_site_fract_z
_atom_site_occupancy
La1 0.017 0.000 0.297 1
La2 0.165 0.500 0.453 1
Au1 0.055 0.500 0.529 1
********

Worked solution =
(1)
For HfTe3Se8, a structure optimized by DFT (GGA-PBE) gives the calculated powder diffraction line list in this record (CuKα).

Crystal structure
```
data_HfTe3Se8
_space_group_name_H-M_alt 'P -1'
_space_group_IT_number 2
_cell_length_a 7.230
_cell_length_b 7.876
_cell_length_c 14.438
_cell_angle_alpha 104.71
_cell_angle_beta 99.88
_cell_angle_gamma 95.64
loop_
_space_group_symop_operation_xyz
'x,y,z'
'-x,-y,-z'
loop_
_atom_site_label
_atom_site_fract_x
_atom_site_fract_y
_atom_site_fract_z
_atom_site_occupancy
Hf1 0.097 0.229 0.004 1
Te1 0.002 0.823 0.579 1
Te2 0.084 0.653 0.232 1
Te3 0.493 0.956 0.799 1
Se1 0.143 0.215 0.597 1
Se2 0.168 0.912 0.928 1
Se3 0.214 0.613 0.072 1
Se4 0.240 0.299 0.850 1
Se5 0.240 0.462 0.412 1
Se6 0.319 0.670 0.566 1
Se7 0.333 0.958 0.326 1
Se8 0.372 0.316 0.160 1
```

Principal peaks in the range 10° ≤ 2θ ≤ 80°, in order of falling intensity:
Position (°2θ)  d (Å)  intensity
19.83  4.478  100
12.57  7.043  93
17.55  5.055  89
16.12  5.498  69
28.51  3.131  68
25.81  3.452  68
26.26  3.393  59
40.28  2.239  56
34.21  2.621  55
30.09  2.970  55
20.98  4.234  55
36.14  2.485  54



(2)
For Pr2HoTl2, a structure optimized by DFT (GGA-PBE) gives the calculated powder diffraction line list in this record (CuKα).

Crystal structure
```
data_Pr2HoTl2
_space_group_name_H-M_alt 'C m c 21'
_space_group_IT_number 36
_cell_length_a 5.128
_cell_length_b 17.864
_cell_length_c 6.701
_cell_angle_alpha 90.00
_cell_angle_beta 90.00
_cell_angle_gamma 90.00
loop_
_space_group_symop_operation_xyz
'x,y,z'
'-x,-y,z+1/2'
'-x,y,z'
'x,-y,z+1/2'
'x+1/2,y+1/2,z'
'-x+1/2,-y+1/2,z+1/2'
'-x+1/2,y+1/2,z'
'x+1/2,-y+1/2,z+1/2'
loop_
_atom_site_label
_atom_site_fract_x
_atom_site_fract_y
_atom_site_fract_z
_atom_site_occupancy
Pr1 0.000 0.008 0.000 1
Pr2 0.000 0.201 0.457 1
Ho1 0.000 0.391 0.238 1
Tl1 0.000 0.193 0.965 1
Tl2 0.000 0.409 0.749 1
```

Principal peaks in the range 10° ≤ 2θ ≤ 80°, in order of falling intensity:
Position (°2θ)  d (Å)  intensity
30.49  2.931  100
32.31  2.771  74
35.00  2.564  37
33.43  2.681  30
40.53  2.226  21
64.01  1.454  21
49.18  1.853  19
54.60  1.681  18
59.99  1.542  15
35.37  2.538  14
51.14  1.786  12
61.08  1.517  12



(3)
For KHf2Bi2O7, a structure optimized by DFT (GGA-PBE) gives the calculated powder diffraction line list in this record (CuKα).

Crystal structure
```
data_KHf2Bi2O7
_space_group_name_H-M_alt 'I m m 2'
_space_group_IT_number 44
_cell_length_a 3.531
_cell_length_b 19.376
_cell_length_c 6.015
_cell_angle_alpha 90.00
_cell_angle_beta 90.00
_cell_angle_gamma 90.00
loop_
_space_group_symop_operation_xyz
'x,y,z'
'-x,-y,z'
'-x,y,z'
'x,-y,z'
'x+1/2,y+1/2,z+1/2'
'-x+1/2,-y+1/2,z+1/2'
'-x+1/2,y+1/2,z+1/2'
'x+1/2,-y+1/2,z+1/2'
loop_
_atom_site_label
_atom_site_fract_x
_atom_site_fract_y
_atom_site_fract_z
_atom_site_occupancy
K1 0.000 0.000 0.000 1
Hf1 0.000 0.400 0.037 1
Bi1 0.000 0.304 0.581 1
O1 0.000 0.120 0.683 1
O2 0.000 0.286 0.936 1
O3 0.000 0.411 0.711 1
O4 0.000 0.500 0.116 1
```

Principal peaks in the range 10° ≤ 2θ ≤ 80°, in order of falling intensity:
Position (°2θ)  d (Å)  intensity
27.38  3.258  100
30.78  2.905  53
29.70  3.008  42
28.81  3.098  37
25.64  3.474  35
41.86  2.158  24
59.56  1.552  24
51.80  1.765  22
47.99  1.896  20
40.73  2.216  19
39.64  2.274  19
51.30  1.781  17



(4)
For La4Au2I5, a structure optimized by DFT (GGA-PBE) gives the calculated powder diffraction line list in this record (CuKα).

Crystal structure
```
data_La4Au2I5
_space_group_name_H-M_alt 'C 1 2/m 1'
_space_group_IT_number 12
_cell_length_a 25.569
_cell_length_b 4.159
_cell_length_c 8.947
_cell_angle_alpha 90.00
_cell_angle_beta 90.86
_cell_angle_gamma 90.00
loop_
_space_group_symop_operation_xyz
'x,y,z'
'-x,-y,-z'
'-x,y,-z'
'x,-y,z'
'x+1/2,y+1/2,z'
'-x+1/2,-y+1/2,-z'
'-x+1/2,y+1/2,-z'
'x+1/2,-y+1/2,z'
loop_
_atom_site_label
_atom_site_fract_x
_atom_site_fract_y
_atom_site_fract_z
_atom_site_occupancy
La1 0.017 0.000 0.297 1
La2 0.165 0.500 0.453 1
Au1 0.055 0.500 0.529 1